**Material:**
This record from OMol25 describes C23H63Ag2ClFNO26P5 as an isolated structure at a distorted geometry. The level of theory is ωB97M-V/def2-TZVPD.

2S+1 ... 1
Net charge ... -1
Max |F| ... 4.35 eV/Å
E ... -149287.37190 eV

Element x y z (Å)
H -1.89220 4.08181 3.21596
C -3.49042 -0.21230 0.88167
H 1.76257 2.31676 -2.82449
H -0.37972 -6.29883 3.04445
H -3.48725 -1.28604 1.06924
H -0.90214 5.29697 -0.14485
H -5.03748 -2.59583 -3.63949
O -0.35773 -4.23503 1.23397
H 3.64683 3.91477 -1.12964
H 6.08944 1.34425 3.98268
H 3.16665 0.24573 -4.04744
O -0.50561 1.77941 -4.91122
O 2.09587 0.45040 3.22905
H -1.26256 -5.94653 0.30863
H -5.33141 -3.11287 0.14168
H -3.00791 -2.18321 -1.43827
H -0.50724 -1.94070 2.44304
O -3.30524 2.85288 2.28332
H 0.79878 -0.12645 -3.69758
C -4.62084 -3.44869 -0.61358
H 1.00410 -0.47570 -5.43415
C -0.08677 6.00312 0.01208
H 0.54801 3.74404 3.93277
C 3.10395 -0.00153 6.10134
O 1.10385 -3.22503 3.01020
H -3.33382 4.50180 -6.14977
O 2.83122 0.36533 -0.10879
H 2.04914 0.21393 5.93087
P -1.07948 2.94500 -4.14326
P 1.19655 -4.13560 1.68560
O 2.16993 4.60492 2.95318
H 1.53269 4.87922 4.81182
H -1.78957 -3.83031 -5.06916
H 0.35808 -5.37283 -0.34476
C -4.28514 -3.04640 -2.99214
C 0.95681 -0.91208 -4.43643
H -2.44894 2.95072 -6.56995
C 1.57795 4.06517 4.08839
H -2.53178 0.10126 0.46841
C 3.78660 3.96125 -0.04964
O -4.47339 -4.45838 -2.72578
H -5.15578 1.48926 3.95291
O -1.50566 4.21005 -5.09442
H -3.35488 -3.05342 -3.56019
H 0.34279 1.85569 -1.77447
O 1.03996 3.08614 1.08626
O 2.19261 -1.57424 -4.29890
C 5.43179 2.21006 3.90546
H -1.19036 -1.39375 -4.43042
H -3.80552 -3.84912 -0.01106
H 0.97119 -7.38535 3.16432
O 0.00627 3.56261 -3.10814
Ag 0.72085 0.74338 1.25873
C -4.06071 -2.42609 -1.58226
H -4.93123 -5.51958 -1.12119
H -1.88709 4.43622 -7.08235
H -4.66957 -1.52206 -1.57150
O -1.18676 1.24699 2.51747
H -0.17676 -2.54584 -3.54022
H -1.13052 -4.47682 -0.57352
H 1.14548 3.23702 -1.45145
H -4.67074 0.82513 5.47622
O 4.29317 0.94002 -1.59451
C -0.23384 -1.91641 -4.42829
P 3.50036 0.48091 3.49674
O 3.86586 -1.08466 -1.27072
C 4.33017 -1.75294 2.26886
H -2.39114 4.47129 1.51802
O 4.12908 1.95683 3.39486
C 0.69332 -6.33359 3.23280
C -2.69667 4.06157 2.48076
P -2.65057 1.46251 2.83905
P 1.65174 4.41711 1.41688
O 3.94487 0.03350 4.96987
C 3.30352 -0.69408 -4.58234
C 0.47257 -1.98774 2.91829
C -4.43502 1.61328 4.76113
C -5.25089 -4.55090 -1.50534
H -3.40176 4.73487 2.96822
O 1.53708 -5.61359 2.32932
H -2.59825 1.66302 -1.47762
H 1.10016 -1.36772 2.27813
N 3.64322 0.10725 -1.01608
H -0.91693 -4.53543 -6.43346
H 0.98485 -6.00639 4.23083
H 4.23854 -1.20569 -4.35411
H -6.34068 -4.56217 -1.48715
H 3.69174 -2.34775 2.92209
H -4.36397 0.08823 0.30314
O 4.49812 -0.36628 2.55047
H 3.52335 0.65996 6.85939
C -2.61256 1.46491 -2.54937
H 0.39014 -1.60993 3.93739
O 0.65392 5.70486 1.22120
H 4.85251 4.18125 0.00995
H 5.45344 2.63425 4.90931
Cl -0.12006 -1.14580 -0.84423
H -1.97086 0.66453 -2.91774
C -0.58779 -5.10963 0.12869
F 1.84503 -4.60518 -2.79713
H 3.97708 -1.85521 1.24271
C 0.85427 2.64796 -2.32110
O -0.05769 -2.77181 -5.54892
H -0.54902 6.98039 0.15125
O 2.87374 4.96122 0.50396
C -2.37881 3.98144 -6.22241
C -0.80330 -3.95995 -5.51476
H 0.44481 6.02856 -0.93917
H 5.28413 -2.27763 2.21645
O -3.07416 1.44204 4.44831
O -2.42179 2.63506 -3.29315
H 3.67139 2.96925 0.38711
Ag 1.95889 -2.73275 -1.45241
H -3.63933 1.16992 -2.76577
H 2.21898 3.21829 4.33327
H 5.96881 2.91400 3.26971
O 2.17245 -3.70339 0.65670
H -4.77093 2.50212 5.29520
H 3.13406 -0.97230 6.59613
H -0.26887 -4.66859 -4.88206
O -3.60305 0.33498 2.23249
H 3.19529 -0.31915 -5.60009

~~~~~

The ion C4H6BrN2 with charge +1 in a non-equilibrium geometry. Source: the OMol25 dataset; level of theory: the ωB97M-V functional and the def2-TZVPD basis.

ORCA input file:
```
! RIJCOSX wB97M-V def2-TZVPD def2/J DEFGRID3
* xyz 1 3
C -0.32 1.30 -0.25
C 0.93 1.56 -0.45
C 1.44 -1.05 -0.34
C -0.64 -0.07 0.34
N 2.02 -0.10 0.29
N 0.12 -1.18 -0.23
Br 3.87 0.09 0.32
H -1.16 1.98 -0.51
H 1.88 2.15 -0.26
**To do:**
Say how many lines of the listing further up hold the word "wB97M-V", as a bare number.
**Reply:**
1